-- Contents --
[1]
A relaxed structure of Cs2Na9Hg3. Source: Alexandria, functional GGA-PBE.

Lattice parameters (Å, degrees): 10.088 10.088 13.510 88.85 111.13 122.96
Fractional positions:
Cs  0.365  0.241  0.759
Cs  0.635  0.759  0.241
Cs  0.982  0.605  0.741
Cs  0.018  0.395  0.259
Na  0.478  0.926  0.749
Na  0.522  0.074  0.251
Na  0.677  0.729  0.751
Na  0.323  0.271  0.249
Na  0.428  0.624  0.916
Na  0.572  0.376  0.084
Na  0.208  0.511  0.584
Na  0.792  0.489  0.416
Na  0.916  0.166  0.750
Na  0.084  0.834  0.250
Na  0.158  0.006  0.982
Na  0.842  0.994  0.018
Na  0.524  0.176  0.518
Na  0.476  0.824  0.482
Na  0.864  0.861  0.554
Na  0.136  0.139  0.446
Na  0.807  0.310  0.946
Na  0.193  0.690  0.054
Hg  0.500  0.000  0.000
Hg  0.500  0.500  0.500
Hg  0.835  0.167  0.488
Hg  0.165  0.833  0.512
Hg  0.179  0.347  0.012
Hg  0.821  0.653  0.988

Energy in eV per formula unit: -15.96
Size of the total moment in μB/atom: 0.000
ΔE_f in meV/atom: -106
Space-group type: C2/c (15)

---

[2]
A relaxed structure of Cs2Na3Hg6. Source: Alexandria, functional GGA-PBE.

Lattice parameters (Å, degrees): 4.917 9.285 9.285 100.53 90.00 90.00
Fractional positions:
Cs  0.000  0.296  0.704
Cs  0.000  0.704  0.296
Na  0.000  0.203  0.203
Na  0.000  0.797  0.797
Na  0.500  0.000  0.000
Hg  0.500  0.375  0.375
Hg  0.500  0.625  0.625
Hg  0.500  0.040  0.352
Hg  0.500  0.960  0.648
Hg  0.500  0.352  0.040
Hg  0.500  0.648  0.960

Energy in eV per formula unit: -9.79
Size of the total moment in μB/atom: 0.000
ΔE_f in meV/atom: -211
Space-group type: Cmmm (65)

---

[3]
A relaxed structure of CsNa2Hg2. Source: Alexandria, functional GGA-PBE.

Lattice parameters (Å, degrees): 5.246 6.177 7.094 106.09 111.70 90.00
Fractional positions:
Cs  0.000  0.000  0.000
Na  0.337  0.422  0.674
Na  0.663  0.578  0.326
Hg  0.733  0.124  0.466
Hg  0.267  0.876  0.534

Energy in eV per formula unit: -5.03
Size of the total moment in μB/atom: 0.000
Offset from the most stable computed form in eV per atom: 0.002
ΔE_f in meV/atom: -188
Space-group type: C2/m (12)


(1)
Entry from Alexandria via LeMat-Bulk: an optimized crystal structure of BaHS2Cl (PBEsol).

Final energy = -2.923 eV/atom
Theoretical density = 1.670 g/cm³

Cell lengths 5.9064, 6.3296, 6.3296 Å; angles 90.00, 90.00, 90.00 degrees
Each line ends with the local moment (μB).
Sites, in units of the cell vectors:
S 0.0000 0.5000 0.0000  0.82
S 0.0000 0.0000 0.5000  0.82
Cl 0.5000 0.0000 0.0000  0.07
Ba 0.0000 0.0000 0.0000  -0.01
H 0.5000 0.5000 0.5000  0.37

***

(2)
Entry from Alexandria via LeMat-Bulk: an optimized crystal structure of Ba2SrHCl (PBEsol).

Final energy = -2.349 eV/atom
Theoretical density = 3.092 g/cm³

Cell lengths 4.2708, 7.0814, 7.0814 Å; angles 90.00, 90.00, 90.00 degrees
Sites, in units of the cell vectors:
Ba 0.0000 0.0000 0.5000
Ba 0.0000 0.5000 0.0000
Cl 0.5000 0.5000 0.5000
Sr 0.0000 0.0000 0.0000
H 0.5000 0.0000 0.0000

-- Wanted --
Please repeat everything further up with every line break kept.

-- Written answer --
[1]
A relaxed structure of Cs2Na9Hg3. Source: Alexandria, functional GGA-PBE.

Lattice parameters (Å, degrees): 10.088 10.088 13.510 88.85 111.13 122.96
Fractional positions:
Cs  0.365  0.241  0.759
Cs  0.635  0.759  0.241
Cs  0.982  0.605  0.741
Cs  0.018  0.395  0.259
Na  0.478  0.926  0.749
Na  0.522  0.074  0.251
Na  0.677  0.729  0.751
Na  0.323  0.271  0.249
Na  0.428  0.624  0.916
Na  0.572  0.376  0.084
Na  0.208  0.511  0.584
Na  0.792  0.489  0.416
Na  0.916  0.166  0.750
Na  0.084  0.834  0.250
Na  0.158  0.006  0.982
Na  0.842  0.994  0.018
Na  0.524  0.176  0.518
Na  0.476  0.824  0.482
Na  0.864  0.861  0.554
Na  0.136  0.139  0.446
Na  0.807  0.310  0.946
Na  0.193  0.690  0.054
Hg  0.500  0.000  0.000
Hg  0.500  0.500  0.500
Hg  0.835  0.167  0.488
Hg  0.165  0.833  0.512
Hg  0.179  0.347  0.012
Hg  0.821  0.653  0.988

Energy in eV per formula unit: -15.96
Size of the total moment in μB/atom: 0.000
ΔE_f in meV/atom: -106
Space-group type: C2/c (15)

---

[2]
A relaxed structure of Cs2Na3Hg6. Source: Alexandria, functional GGA-PBE.

Lattice parameters (Å, degrees): 4.917 9.285 9.285 100.53 90.00 90.00
Fractional positions:
Cs  0.000  0.296  0.704
Cs  0.000  0.704  0.296
Na  0.000  0.203  0.203
Na  0.000  0.797  0.797
Na  0.500  0.000  0.000
Hg  0.500  0.375  0.375
Hg  0.500  0.625  0.625
Hg  0.500  0.040  0.352
Hg  0.500  0.960  0.648
Hg  0.500  0.352  0.040
Hg  0.500  0.648  0.960

Energy in eV per formula unit: -9.79
Size of the total moment in μB/atom: 0.000
ΔE_f in meV/atom: -211
Space-group type: Cmmm (65)

---

[3]
A relaxed structure of CsNa2Hg2. Source: Alexandria, functional GGA-PBE.

Lattice parameters (Å, degrees): 5.246 6.177 7.094 106.09 111.70 90.00
Fractional positions:
Cs  0.000  0.000  0.000
Na  0.337  0.422  0.674
Na  0.663  0.578  0.326
Hg  0.733  0.124  0.466
Hg  0.267  0.876  0.534

Energy in eV per formula unit: -5.03
Size of the total moment in μB/atom: 0.000
Offset from the most stable computed form in eV per atom: 0.002
ΔE_f in meV/atom: -188
Space-group type: C2/m (12)


(1)
Entry from Alexandria via LeMat-Bulk: an optimized crystal structure of BaHS2Cl (PBEsol).

Final energy = -2.923 eV/atom
Theoretical density = 1.670 g/cm³

Cell lengths 5.9064, 6.3296, 6.3296 Å; angles 90.00, 90.00, 90.00 degrees
Each line ends with the local moment (μB).
Sites, in units of the cell vectors:
S 0.0000 0.5000 0.0000  0.82
S 0.0000 0.0000 0.5000  0.82
Cl 0.5000 0.0000 0.0000  0.07
Ba 0.0000 0.0000 0.0000  -0.01
H 0.5000 0.5000 0.5000  0.37

***

(2)
Entry from Alexandria via LeMat-Bulk: an optimized crystal structure of Ba2SrHCl (PBEsol).

Final energy = -2.349 eV/atom
Theoretical density = 3.092 g/cm³

Cell lengths 4.2708, 7.0814, 7.0814 Å; angles 90.00, 90.00, 90.00 degrees
Sites, in units of the cell vectors:
Ba 0.0000 0.0000 0.5000
Ba 0.0000 0.5000 0.0000
Cl 0.5000 0.5000 0.5000
Sr 0.0000 0.0000 0.0000
H 0.5000 0.0000 0.0000